Listing.
┌──
[1]
Compound: PrOsW
Source: the Open Quantum Materials Database
Functional: PBE
Structure: relaxed

a b c (Å): 6.430 6.430 6.430
angles (deg): 90.00 90.00 90.00
Space group F-43m (No. 216)
Symmetry-distinct sites (fractional):
Pr 0.000 0.000 0.000
Os 0.000 0.000 0.500
W 0.250 0.250 0.750

Calculated values
ΔH_f (0 K), eV/f.u.: 2.8
Total moment, μB/f.u.: 0.00
Calculated volume, Å³/atom: 22.155
Final energy, eV/cell: -104.68

***

[2]
Compound: NbPIrO
Source: the Open Quantum Materials Database
Functional: PBE
Structure: relaxed

a b c (Å): 3.758 3.758 7.395
angles (deg): 90.00 90.00 90.00
Space group P4/nmm (No. 129, origin choice 2)
Symmetry-distinct sites (fractional):
Nb 0.250 0.250 0.168
P 0.250 0.250 0.699
Ir 0.250 0.750 0.500
O 0.250 0.750 0.000

Calculated values
Total moment, μB/f.u.: 0.01
Calculated volume, Å³/atom: 13.053
Energy above the lowest structure with this stoichiometry, meV per atom: 0
Final energy, eV/cell: -66.22
└──

Work order.
The reader should type out only the lines further above with the word "the" in them.

Completed.
Source: the Open Quantum Materials Database
Source: the Open Quantum Materials Database
Energy above the lowest structure with this stoichiometry, meV per atom: 0